# Listing
/*
This record from the Materials Project database describes a relaxed structure of NdAl11O18. The functional is GGA-PBE.

Cell lengths 5.6111, 5.6428, 11.5061 Å; angles 77.02, 89.99, 61.58 degrees
With the nearest neighbours (Å) after each atom.
Space group P-1 (No. 2)
Asymmetric unit:
1 Nd 0.0000 0.0000 0.0000  4 O 2.22-2.42
2 Al 0.0000 0.0000 0.5000  2 O 1.55
3 Al 0.1023 0.5877 0.2760  2 O 1.57-1.75
4 Al 0.1079 0.0977 0.2929  2 O 1.53-1.61
5 Al 0.3518 0.3537 0.5564  1 O 1.59
6 Al 0.3993 0.9054 0.7177  1 O 1.52
7 Al 0.4535 0.4580 0.8729  1 O 1.51
8 O 0.0840 0.6175 0.7906  1 Al 1.53
9 O 0.0847 0.0992 0.7934  1 Al 1.57
10 O 0.1813 0.7256 0.5973  1 Al 1.55
11 O 0.1908 0.1914 0.6066  2 Al 1.59-1.70
12 O 0.2712 0.5551 0.0032  2 Al 1.85-2.07
13 O 0.2800 0.8132 0.3967  1 Al 1.61
14 O 0.3065 0.2918 0.3918  1 Al 1.75
15 O 0.3978 0.9090 0.1960  2 Al 1.98-2.17
16 O 0.4245 0.3953 0.2122  2 Al 1.51-1.52

For the total energy, the calculation gives -6.51 eV per atom.

This record from the Materials Project database describes a relaxed structure of Pr2Al3Ag. The functional is GGA-PBE.

Cell lengths 3.8164, 4.6407, 8.0762 Å; angles 90.00, 90.00, 90.00 degrees
With the nearest neighbours (Å) after each atom.
Space group Pmm2 (No. 25)
Asymmetric unit:
1 Pr 0.0000 0.0000 0.0000  10 Al 3.26-3.31, 2 Ag 3.33
2 Pr 0.0000 0.5000 0.4859  8 Al 3.26-3.35, 4 Ag 3.32
3 Al 0.5000 0.0000 0.3278  2 Al 2.70, 1 Ag 2.70
4 Al 0.5000 0.5000 0.1578  3 Al 2.67-2.70
5 Al 0.5000 0.5000 0.8270  1 Al 2.67, 2 Ag 2.67
6 Ag 0.5000 0.0000 0.6623  3 Al 2.67-2.70

For the total energy, the calculation gives -4.36 eV per atom.

This record from the Materials Project database describes a relaxed structure of Nb4Fe2N. The functional is GGA-PBE.

Cell lengths 11.7200, 11.7200, 11.7200 Å; angles 90.00, 90.00, 90.00 degrees
With the nearest neighbours (Å) after each atom.
Space group Fd-3m (No. 227, origin choice 2)
Asymmetric unit:
1 Nb 0.0000 0.0000 0.0000  6 Fe 2.52
2 Nb 0.0602 0.3750 0.8750  2 N 2.19
3 Fe 0.0441 0.0441 0.2059  6 Nb 2.52-2.81, 3 Fe 2.68
4 N 0.0000 0.0000 0.5000  6 Nb 2.19

For the total energy, the calculation gives -9.81 eV per atom.

----------

First-principles (PBE) data for a relaxed CdP2N4 crystal, as listed in the Materials Project database.

- E_tot (eV per atom) = -6.62
- formation enthalpy at 0 K (eV per atom) = -0.39

The structure in CIF format:
```
data_CdP2N4
_chemical_formula_sum 'Cd24 P48 N96'
_space_group_name_H-M_alt 'P 63 2 2'
_space_group_IT_number 182
_space_group_name_Hall 'P 6c 2c'
_cell_length_a 17.0206
_cell_length_b 17.0206
_cell_length_c 7.9144
_cell_angle_alpha 90.00
_cell_angle_beta 90.00
_cell_angle_gamma 120.00
loop_
_atom_site_label
_atom_site_type_symbol
_atom_site_fract_x
_atom_site_fract_y
_atom_site_fract_z
_atom_site_occupancy
Cd1 Cd 0.0000 0.0000 0.0000 1
Cd2 Cd 0.0000 0.4747 0.0000 1
Cd3 Cd 0.1450 0.3396 0.0065 1
Cd4 Cd 0.3333 0.6667 0.5027 1
P1 P 0.9999 0.3348 0.2987 1
P2 P 0.0008 0.1690 0.6969 1
P3 P 0.1671 0.5001 0.3035 1
P4 P 0.1666 0.5004 0.6980 1
N1 N 0.0000 0.1794 0.5000 1
N2 N 0.0000 0.3387 0.5000 1
N3 N 0.0398 0.2712 0.2194 1
N4 N 0.0603 0.1207 0.2500 1
N5 N 0.0645 0.4392 0.2205 1
N6 N 0.1038 0.3983 0.7818 1
N7 N 0.1068 0.2136 0.7500 1
N8 N 0.1190 0.5595 0.7500 1
N9 N 0.1645 0.4934 0.5010 1
N10 N 0.2157 0.6078 0.2500 1
N11 N 0.2260 0.4519 0.2500 1
N12 N 0.2749 0.5498 0.7500 1
```
*/

# Assignment
It remains to transcribe the part of the material above that starts with the line with "0.9999 0.3348" and stops after the one with "0.6980".

# Reply
P1 P 0.9999 0.3348 0.2987 1
P2 P 0.0008 0.1690 0.6969 1
P3 P 0.1671 0.5001 0.3035 1
P4 P 0.1666 0.5004 0.6980 1